Could you find "-4.622" and "C46 1.095" in the notes below, and duplicate these two lines and those between?
<<<
A cluster of 7 separate species, C31H74NO16 in total, computed with ωB97M-V/def2-TZVPD.

Last columns: bonded neighbours and bond lengths (Å).
Atoms and positions in Å:
1 O 5.286 -2.967 -3.066  C18 1.417, C45 1.413
2 O 2.670 -1.206 6.678  C33 1.415, C46 1.417
3 O -7.106 -5.244 -3.402  C37 1.429, C41 1.408
4 O 5.598 -1.499 6.793  C23 1.415, C44 1.417
5 O -7.988 -2.481 -2.835  C39 1.430, C42 1.409
6 O 1.652 4.013 -2.079  C31 1.418, C36 1.415
7 O 4.274 -0.195 -3.075  C25 1.416, C30 1.417
8 O -8.438 -0.970 -0.317  C29 1.431, H104 0.966
9 O 8.934 0.045 -3.325  C20 1.417, C22 1.414
10 O -3.301 -0.462 0.616  C19 1.251
11 O -1.982 1.983 3.902  C28 1.431, C34 1.411
12 O -4.516 -1.699 -0.826  C19 1.246
13 O -5.561 1.104 -1.134  C26 1.430, C47 1.416
14 O -0.938 2.694 -1.634  C27 1.418, C48 1.412
15 O 11.411 1.471 -4.020  C24 1.414, C40 1.418
16 O -1.785 0.001 6.087  C21 1.414, C35 1.415
17 N -5.881 2.858 2.143  C38 1.476, H49 1.014, H108 1.013
18 C 6.015 -1.831 -2.635  O1 1.417, C25 1.512, H70 1.095, H115 1.095
19 C -3.980 -0.649 -0.418  O10 1.251, O12 1.246, C26 1.557
20 C 9.004 1.417 -3.674  O9 1.417, C40 1.512, H93 1.095, H95 1.094
21 C -0.384 0.040 5.898  O16 1.414, H62 1.096, H80 1.093, H83 1.088
22 C 9.463 -0.249 -2.047  O9 1.414, H52 1.089, H75 1.096, H81 1.093
23 C 5.714 -0.309 6.038  O4 1.415, H63 1.096, H101 1.092, H119 1.089
24 C 11.995 0.234 -4.376  O15 1.414, H66 1.089, H91 1.096, H121 1.093
25 C 5.116 -0.749 -2.080  O7 1.416, C18 1.512, H74 1.095, H79 1.095
26 C -4.226 0.616 -1.292  O13 1.430, C19 1.557, H78 1.095, H88 1.097
27 C -0.501 2.224 -0.370  O14 1.418, H69 1.088, H109 1.094, H117 1.095
28 C -1.890 0.937 2.930  O11 1.431, H59 1.092, H86 1.090, H112 1.089
29 C -7.842 0.082 0.448  O8 1.431, C32 1.542, H58 1.094, H113 1.086
30 C 2.943 -0.680 -3.032  O7 1.417, H60 1.095, H61 1.093, H120 1.089
31 C 0.432 4.386 -2.696  O6 1.418, C48 1.514, H51 1.096, H89 1.095
32 C -8.285 1.473 -0.048  C29 1.542, C43 1.553, H98 1.093, H116 1.095
33 C 3.368 -1.944 7.662  O2 1.415, C44 1.513, H76 1.095, H107 1.095
34 C -2.974 1.754 4.879  O11 1.411, C35 1.515, H85 1.097, H111 1.095
35 C -2.383 1.279 6.191  O16 1.415, C34 1.515, H72 1.097, H106 1.095
36 C 2.136 2.754 -2.507  O6 1.415, H87 1.092, H103 1.089, H114 1.096
37 C -6.268 -4.203 -2.896  O3 1.429, C39 1.508, H55 1.092, H100 1.095
38 C -5.232 1.969 1.158  N17 1.476, C47 1.543, H67 1.090, H102 1.092
39 C -7.020 -3.196 -2.063  O5 1.430, C37 1.508, H92 1.095, H96 1.096
40 C 10.148 1.701 -4.622  O15 1.418, C20 1.512, H53 1.094, H57 1.095
41 C -7.490 -5.048 -4.742  O3 1.408, H65 1.090, H71 1.094, H82 1.098
42 C -9.306 -2.947 -2.655  O5 1.409, H73 1.091, H77 1.097, H122 1.095
43 C -7.231 2.562 -0.386  C32 1.553, C47 1.524, H84 1.092, H118 1.094
44 C 4.749 -1.379 7.920  O4 1.417, C33 1.513, H64 1.094, H90 1.096
45 C 5.086 -3.017 -4.464  O1 1.413, H54 1.093, H68 1.096, H105 1.089
46 C 2.664 -1.824 5.403  O2 1.417, H50 1.095, H94 1.088, H99 1.093
47 C -5.752 2.213 -0.275  O13 1.416, C38 1.543, C43 1.524, H56 1.104
48 C -0.770 4.082 -1.826  O14 1.412, C31 1.514, H97 1.095, H110 1.096
49 H -6.635 2.366 2.610  N17 1.014
50 H 2.012 -2.704 5.401  C46 1.095
51 H 0.320 3.872 -3.657  C31 1.096
52 H 9.525 -1.333 -1.966  C22 1.089
53 H 10.109 2.753 -4.919  C40 1.094
54 H 4.684 -2.075 -4.848  C45 1.093
55 H -5.500 -4.667 -2.274  C37 1.092
56 H -5.189 3.078 -0.668  C47 1.104
57 H 10.039 1.089 -5.523  C40 1.095
58 H -8.182 -0.078 1.476  C29 1.094
59 H -1.813 -0.043 3.403  C28 1.092
60 H 2.410 -0.280 -2.163  C30 1.095
61 H 2.907 -1.772 -2.998  C30 1.093
62 H 0.130 0.343 6.817  C21 1.096
63 H 6.302 0.442 6.577  C23 1.096
64 H 5.211 -1.933 8.743  C44 1.094
65 H -8.261 -5.784 -4.973  C41 1.090
66 H 12.856 0.086 -3.727  C24 1.089
67 H -5.322 0.913 1.412  C38 1.090
68 H 6.023 -3.243 -4.988  C45 1.096
69 H -0.512 1.136 -0.405  C27 1.088
70 H 6.619 -1.423 -3.452  C18 1.095
71 H -7.894 -4.045 -4.906  C41 1.094
72 H -1.650 2.015 6.544  C35 1.097
73 H -9.929 -2.463 -3.408  C42 1.091
>>>
40 C 10.148 1.701 -4.622  O15 1.418, C20 1.512, H53 1.094, H57 1.095
41 C -7.490 -5.048 -4.742  O3 1.408, H65 1.090, H71 1.094, H82 1.098
42 C -9.306 -2.947 -2.655  O5 1.409, H73 1.091, H77 1.097, H122 1.095
43 C -7.231 2.562 -0.386  C32 1.553, C47 1.524, H84 1.092, H118 1.094
44 C 4.749 -1.379 7.920  O4 1.417, C33 1.513, H64 1.094, H90 1.096
45 C 5.086 -3.017 -4.464  O1 1.413, H54 1.093, H68 1.096, H105 1.089
46 C 2.664 -1.824 5.403  O2 1.417, H50 1.095, H94 1.088, H99 1.093
47 C -5.752 2.213 -0.275  O13 1.416, C38 1.543, C43 1.524, H56 1.104
48 C -0.770 4.082 -1.826  O14 1.412, C31 1.514, H97 1.095, H110 1.096
49 H -6.635 2.366 2.610  N17 1.014
50 H 2.012 -2.704 5.401  C46 1.095